The reader should reproduce all of the rows below verbatim.
____________
## one
17
Properties=species:S:1:pos:R:3:nbo_charge:R:1 method="wB97M-V/def2-TZVPD" gap_ha=0.3497 charge=+1 mol_weight_g_mol=108.12
C 1.47 0.16 1.33 -0.70
C -1.44 0.76 -0.11 0.50
C 0.61 -0.02 0.03 0.34
N 0.13 -1.57 0.10 -0.79
O -2.03 0.17 -1.14 -0.68
O -1.34 2.10 -0.14 -0.67
O 1.02 0.15 -1.23 -0.70
H 2.29 -0.54 1.24 0.22
H 2.05 1.15 1.33 0.27
H 0.72 0.08 2.12 0.24
H -1.87 0.26 0.72 0.16
H -0.49 -1.63 0.93 0.44
H 0.94 -2.27 -0.10 0.44
H -0.56 -1.66 -0.65 0.44
H -1.81 0.58 -1.99 0.50
H -1.56 2.50 -1.03 0.51
H 1.88 -0.24 -1.39 0.48

---

## two
17
Properties=species:S:1:pos:R:3:nbo_charge:R:1 method="wB97M-V/def2-TZVPD" gap_ha=0.1761 charge=+1 mol_weight_g_mol=108.12
O 0.83 0.06 1.63 -0.60
C 0.41 -0.79 0.47 0.30
O -0.79 -1.02 0.28 -0.39
C 0.98 0.05 -1.02 0.21
C -0.29 0.66 -1.65 -0.60
N 1.91 0.97 -0.52 -0.72
H -2.08 -1.19 1.87 0.46
H 1.45 -0.73 -1.64 0.23
H -0.81 1.23 -0.85 0.24
H 0.05 1.26 -2.51 0.28
H -1.00 -0.12 -1.91 0.27
H 2.49 1.58 -1.09 0.45
H 1.23 -1.59 0.39 0.33
H 1.96 1.03 0.52 0.46
H -0.13 0.23 1.20 0.52
H -3.55 -0.76 2.27 0.48
O -2.65 -0.86 2.57 -0.94

---

It comes down to one, which is 476.6 kJ/mol more stable than the next structure.

---

## one
13
Properties=species:S:1:pos:R:3:nbo_charge:R:1 method="wB97M-V/def2-TZVPD" gap_ha=0.3460 mol_weight_g_mol=112.22 smiles=NCN.SS
S -2.62 -1.45 0.10 -0.13
S -3.01 0.61 -0.33 -0.17
H -2.11 -1.36 1.28 0.10
H -1.67 0.99 -0.54 0.18
N 0.38 -0.21 -1.04 -0.88
C 1.51 0.32 -0.25 -0.04
N 1.15 0.27 1.22 -0.87
H 0.12 -1.21 -0.71 0.38
H 0.49 -0.22 -2.03 0.37
H 1.81 1.34 -0.48 0.17
H 2.41 -0.29 -0.30 0.15
H 0.18 0.02 1.49 0.36
H 1.36 1.19 1.60 0.36

---

## two
13
Properties=species:S:1:pos:R:3:nbo_charge:R:1 method="wB97M-V/def2-TZVPD" gap_ha=0.3354 mol_weight_g_mol=112.22 smiles=NCN.SS
S 0.04 2.96 0.96 -0.10
S -1.58 1.78 1.42 -0.20
H 0.83 2.59 1.94 0.12
H -1.37 0.44 1.59 0.18
N -0.62 -1.47 -0.03 -0.91
C 0.21 -0.80 -1.15 -0.05
N 1.36 -0.05 -0.81 -0.82
H -0.06 -2.20 0.42 0.36
H -1.49 -1.66 -0.49 0.37
H -0.47 -0.16 -1.66 0.18
H 0.34 -1.71 -1.84 0.15
H 1.87 -0.54 0.01 0.35
H 0.92 0.80 -0.37 0.37

---

It comes down to one, which is 39.3 kJ/mol more stable than the next structure.

---

## one
22
Properties=species:S:1:pos:R:3:nbo_charge:R:1 method="wB97M-V/def2-TZVPD" gap_ha="0.3043 / 0.3043" charge=+1 mol_weight_g_mol=142.18
C 1.70 0.48 -0.09 0.24
C 0.50 1.00 -0.23 0.06
C 3.12 0.53 0.06 0.31
C -0.47 -0.15 0.10 0.40
C 0.13 2.35 -0.66 -0.66
C -1.20 0.10 1.40 -0.63
C 0.71 -2.42 -0.69 -0.42
N 0.45 -1.35 0.31 -0.53
O 4.05 -0.18 0.18 -0.39
O -1.29 -0.26 -1.04 -0.68
H 3.40 1.67 0.13 0.20
H 1.00 3.14 -0.37 0.26
H -0.78 2.56 -0.12 0.25
H -0.07 2.23 -1.74 0.29
H -1.78 -0.86 1.83 0.25
H -1.86 0.83 1.17 0.23
H -0.56 0.33 2.12 0.23
H -0.05 -3.17 -0.37 0.22
H 0.66 -2.23 -1.77 0.24
H 1.67 -2.73 -0.62 0.22
H 0.77 -1.52 1.23 0.42
H -2.12 -0.58 -0.74 0.49

---

## two
22
Properties=species:S:1:pos:R:3:nbo_charge:R:1 method="wB97M-V/def2-TZVPD" gap_ha="0.2660 / 0.2660" charge=+1 mol_weight_g_mol=142.18
C -0.44 1.85 -0.44 -0.35
C 0.91 1.72 -0.16 -0.08
C -1.44 0.96 -0.09 0.19
C 1.60 0.54 0.17 0.10
C 1.31 -0.74 -0.31 0.40
C 0.46 -1.06 -1.48 -0.68
C -2.35 -1.00 1.03 -0.42
N -1.28 -0.23 0.46 -0.48
O 2.72 0.58 0.95 -0.69
O 2.04 -1.75 0.12 -0.61
H -0.76 2.81 -0.82 0.25
H 1.49 2.64 -0.15 0.24
H -2.47 1.28 -0.24 0.23
H 1.06 -1.67 -2.15 0.28
H 0.11 -0.17 -1.99 0.25
H -0.40 -1.68 -1.21 0.25
H -3.32 -0.59 0.74 0.23
H -2.29 -2.03 0.70 0.23
H -2.29 -0.99 2.12 0.23
H -0.34 -0.48 0.77 0.41
H 2.96 1.48 1.21 0.51
H 2.71 -1.47 0.77 0.52

---

It comes down to two, which is 407.4 kJ/mol more stable than the next structure.

---

## one
21
Properties=species:S:1:pos:R:3:nbo_charge:R:1 method="wB97M-V/def2-TZVPD" gap_ha="0.2844 / 0.2565" mol_weight_g_mol=114.26
C -2.62 0.92 0.79 -0.32
C -1.76 0.63 -0.13 0.15
C -2.23 1.11 2.28 -0.63
C -1.67 0.23 -1.54 -0.72
C 1.74 -1.02 -1.68 -0.60
C 2.63 -0.80 -0.44 -0.83
Si 1.72 -0.16 1.16 0.68
H -3.57 1.34 0.69 0.20
H -1.67 0.27 2.73 0.22
H -1.53 1.94 2.22 0.22
H -3.11 1.41 2.83 0.21
____________
## one
17
Properties=species:S:1:pos:R:3:nbo_charge:R:1 method="wB97M-V/def2-TZVPD" gap_ha=0.3497 charge=+1 mol_weight_g_mol=108.12
C 1.47 0.16 1.33 -0.70
C -1.44 0.76 -0.11 0.50
C 0.61 -0.02 0.03 0.34
N 0.13 -1.57 0.10 -0.79
O -2.03 0.17 -1.14 -0.68
O -1.34 2.10 -0.14 -0.67
O 1.02 0.15 -1.23 -0.70
H 2.29 -0.54 1.24 0.22
H 2.05 1.15 1.33 0.27
H 0.72 0.08 2.12 0.24
H -1.87 0.26 0.72 0.16
H -0.49 -1.63 0.93 0.44
H 0.94 -2.27 -0.10 0.44
H -0.56 -1.66 -0.65 0.44
H -1.81 0.58 -1.99 0.50
H -1.56 2.50 -1.03 0.51
H 1.88 -0.24 -1.39 0.48

---

## two
17
Properties=species:S:1:pos:R:3:nbo_charge:R:1 method="wB97M-V/def2-TZVPD" gap_ha=0.1761 charge=+1 mol_weight_g_mol=108.12
O 0.83 0.06 1.63 -0.60
C 0.41 -0.79 0.47 0.30
O -0.79 -1.02 0.28 -0.39
C 0.98 0.05 -1.02 0.21
C -0.29 0.66 -1.65 -0.60
N 1.91 0.97 -0.52 -0.72
H -2.08 -1.19 1.87 0.46
H 1.45 -0.73 -1.64 0.23
H -0.81 1.23 -0.85 0.24
H 0.05 1.26 -2.51 0.28
H -1.00 -0.12 -1.91 0.27
H 2.49 1.58 -1.09 0.45
H 1.23 -1.59 0.39 0.33
H 1.96 1.03 0.52 0.46
H -0.13 0.23 1.20 0.52
H -3.55 -0.76 2.27 0.48
O -2.65 -0.86 2.57 -0.94

---

It comes down to one, which is 476.6 kJ/mol more stable than the next structure.

---

## one
13
Properties=species:S:1:pos:R:3:nbo_charge:R:1 method="wB97M-V/def2-TZVPD" gap_ha=0.3460 mol_weight_g_mol=112.22 smiles=NCN.SS
S -2.62 -1.45 0.10 -0.13
S -3.01 0.61 -0.33 -0.17
H -2.11 -1.36 1.28 0.10
H -1.67 0.99 -0.54 0.18
N 0.38 -0.21 -1.04 -0.88
C 1.51 0.32 -0.25 -0.04
N 1.15 0.27 1.22 -0.87
H 0.12 -1.21 -0.71 0.38
H 0.49 -0.22 -2.03 0.37
H 1.81 1.34 -0.48 0.17
H 2.41 -0.29 -0.30 0.15
H 0.18 0.02 1.49 0.36
H 1.36 1.19 1.60 0.36

---

## two
13
Properties=species:S:1:pos:R:3:nbo_charge:R:1 method="wB97M-V/def2-TZVPD" gap_ha=0.3354 mol_weight_g_mol=112.22 smiles=NCN.SS
S 0.04 2.96 0.96 -0.10
S -1.58 1.78 1.42 -0.20
H 0.83 2.59 1.94 0.12
H -1.37 0.44 1.59 0.18
N -0.62 -1.47 -0.03 -0.91
C 0.21 -0.80 -1.15 -0.05
N 1.36 -0.05 -0.81 -0.82
H -0.06 -2.20 0.42 0.36
H -1.49 -1.66 -0.49 0.37
H -0.47 -0.16 -1.66 0.18
H 0.34 -1.71 -1.84 0.15
H 1.87 -0.54 0.01 0.35
H 0.92 0.80 -0.37 0.37

---

It comes down to one, which is 39.3 kJ/mol more stable than the next structure.

---

## one
22
Properties=species:S:1:pos:R:3:nbo_charge:R:1 method="wB97M-V/def2-TZVPD" gap_ha="0.3043 / 0.3043" charge=+1 mol_weight_g_mol=142.18
C 1.70 0.48 -0.09 0.24
C 0.50 1.00 -0.23 0.06
C 3.12 0.53 0.06 0.31
C -0.47 -0.15 0.10 0.40
C 0.13 2.35 -0.66 -0.66
C -1.20 0.10 1.40 -0.63
C 0.71 -2.42 -0.69 -0.42
N 0.45 -1.35 0.31 -0.53
O 4.05 -0.18 0.18 -0.39
O -1.29 -0.26 -1.04 -0.68
H 3.40 1.67 0.13 0.20
H 1.00 3.14 -0.37 0.26
H -0.78 2.56 -0.12 0.25
H -0.07 2.23 -1.74 0.29
H -1.78 -0.86 1.83 0.25
H -1.86 0.83 1.17 0.23
H -0.56 0.33 2.12 0.23
H -0.05 -3.17 -0.37 0.22
H 0.66 -2.23 -1.77 0.24
H 1.67 -2.73 -0.62 0.22
H 0.77 -1.52 1.23 0.42
H -2.12 -0.58 -0.74 0.49

---

## two
22
Properties=species:S:1:pos:R:3:nbo_charge:R:1 method="wB97M-V/def2-TZVPD" gap_ha="0.2660 / 0.2660" charge=+1 mol_weight_g_mol=142.18
C -0.44 1.85 -0.44 -0.35
C 0.91 1.72 -0.16 -0.08
C -1.44 0.96 -0.09 0.19
C 1.60 0.54 0.17 0.10
C 1.31 -0.74 -0.31 0.40
C 0.46 -1.06 -1.48 -0.68
C -2.35 -1.00 1.03 -0.42
N -1.28 -0.23 0.46 -0.48
O 2.72 0.58 0.95 -0.69
O 2.04 -1.75 0.12 -0.61
H -0.76 2.81 -0.82 0.25
H 1.49 2.64 -0.15 0.24
H -2.47 1.28 -0.24 0.23
H 1.06 -1.67 -2.15 0.28
H 0.11 -0.17 -1.99 0.25
H -0.40 -1.68 -1.21 0.25
H -3.32 -0.59 0.74 0.23
H -2.29 -2.03 0.70 0.23
H -2.29 -0.99 2.12 0.23
H -0.34 -0.48 0.77 0.41
H 2.96 1.48 1.21 0.51
H 2.71 -1.47 0.77 0.52

---

It comes down to two, which is 407.4 kJ/mol more stable than the next structure.

---

## one
21
Properties=species:S:1:pos:R:3:nbo_charge:R:1 method="wB97M-V/def2-TZVPD" gap_ha="0.2844 / 0.2565" mol_weight_g_mol=114.26
C -2.62 0.92 0.79 -0.32
C -1.76 0.63 -0.13 0.15
C -2.23 1.11 2.28 -0.63
C -1.67 0.23 -1.54 -0.72
C 1.74 -1.02 -1.68 -0.60
C 2.63 -0.80 -0.44 -0.83
Si 1.72 -0.16 1.16 0.68
H -3.57 1.34 0.69 0.20
H -1.67 0.27 2.73 0.22
H -1.53 1.94 2.22 0.22
H -3.11 1.41 2.83 0.21